# Exercise
Your job: give back the listing underneath from the first line to the one with "-1.555 5.635" without additions.

# Entries
- - -
10
Lattice="-3.705 7.286 3.617 3.705 -7.286 3.617 3.705 7.286 -3.617" Properties=species:S:1:pos:R:3 comment="Ba2ZnBi2 | the Materials Project database | PBE | optimized geometry" formation_enthalpy_0k_kcal_per_mol_atoms=-17.08 space_group=Ibam density_g_cm3=6.45 dft_energy_ev_per_atom=-3.32 pbc="T T T"
Ba 1.543 1.964 0.000
Ba 1.543 -1.964 3.617
Ba 2.162 9.250 0.000
Ba 2.162 5.322 3.617
Zn 3.705 0.000 1.808
Zn 0.000 7.286 1.808
Bi 5.260 1.651 0.000
Bi 1.555 5.635 0.000
Bi 2.150 1.651 3.617
Bi -1.555 5.635 3.617

***

2
Lattice="3.083 0.000 0.000 0.000 3.083 0.000 0.000 0.000 3.828" Properties=species:S:1:pos:R:3 comment="HgPd | the Materials Project database | PBE | optimized geometry" formation_enthalpy_0k_kcal_per_mol_atoms=-3.91 space_group=P4/mmm density_g_cm3=14.01 dft_energy_ev_per_atom=-2.91 pbc="T T T"
Hg 0.000 0.000 0.000
Pd 1.541 1.541 1.914

***

4
Lattice="4.086 0.000 0.000 0.000 4.086 0.000 0.000 0.000 5.767" Properties=species:S:1:pos:R:3 comment="SmEuS2 | the Materials Project database | PBE | optimized geometry" formation_enthalpy_0k_kcal_per_mol_atoms=-53.92 space_group=P4/mmm density_g_cm3=6.32 dft_energy_ev_per_atom=-7.90 pbc="T T T"
Sm 0.000 0.000 0.000
Eu 2.043 2.043 2.884
S 0.000 0.000 2.884
S 2.043 2.043 0.000

* * * * *

1.
{
  "formula": "Li2VFeP4O14",
  "functional": "PBE+U",
  "state": "relaxed",
  "e_tot_ev_per_atom": -7.12,
  "m_tot_mub_per_cell": 14.0,
  "volume_a3_per_atom": 12.226,
  "cell": [[8.237, 0.000, 0.000], [0.000, 7.175, 0.000], [0.000, 3.576, 9.102]],
  "species": ["Li", "Li", "Li", "Li", "P", "P", "P", "P", "P", "P", "P", "P", "O", "O", "O", "O", "O", "O", "O", "O", "O", "O", "O", "O", "O", "O", "O", "O", "O", "O", "O", "O", "O", "O", "O", "O", "O", "O", "O", "O", "Fe", "Fe", "V", "V"],
  "frac_coords": [[0.863, 0.424, 0.249], [0.861, 0.927, 0.749], [0.361, 0.073, 0.251], [0.363, 0.576, 0.751], [0.680, 0.540, 0.939], [0.282, 0.851, 0.063], [0.782, 0.149, 0.937], [0.785, 0.652, 0.435], [0.180, 0.460, 0.061], [0.285, 0.348, 0.565], [0.681, 0.038, 0.439], [0.181, 0.962, 0.561], [0.693, 0.009, 0.876], [0.934, 0.744, 0.341], [0.678, 0.502, 0.103], [0.679, 0.003, 0.603], [0.193, 0.991, 0.124], [0.539, 0.165, 0.352], [0.823, 0.047, 0.099], [0.846, 0.121, 0.370], [0.844, 0.623, 0.870], [0.344, 0.377, 0.130], [0.825, 0.551, 0.598], [0.039, 0.835, 0.648], [0.698, 0.510, 0.375], [0.933, 0.239, 0.843], [0.152, 0.174, 0.579], [0.434, 0.256, 0.659], [0.652, 0.326, 0.921], [0.538, 0.666, 0.852], [0.198, 0.490, 0.625], [0.178, 0.498, 0.897], [0.346, 0.879, 0.630], [0.433, 0.761, 0.157], [0.038, 0.334, 0.148], [0.179, 0.997, 0.397], [0.652, 0.826, 0.421], [0.152, 0.674, 0.079], [0.325, 0.449, 0.402], [0.323, 0.953, 0.901], [0.000, 0.026, 0.242], [0.500, 0.974, 0.758], [0.000, 0.528, 0.743], [0.500, 0.472, 0.257]]
}

=====

2.
{
  "formula": "LiVFeP4O14",
  "functional": "PBE+U",
  "state": "relaxed",
  "e_tot_ev_per_atom": -7.18,
  "m_tot_mub_per_cell": 0.0,
  "volume_a3_per_atom": 12.659,
  "cell": [[-2.327, 0.727, 6.816], [3.254, -7.197, 1.962], [6.589, 4.529, 5.421]],
  "species": ["O", "O", "O", "O", "O", "O", "O", "O", "O", "O", "O", "O", "O", "O", "O", "O", "O", "O", "O", "O", "O", "O", "O", "O", "O", "O", "O", "O", "Fe", "Fe", "Li", "Li", "P", "P", "P", "P", "P", "P", "P", "P", "V", "V"],
- - -

# Outcome
10
Lattice="-3.705 7.286 3.617 3.705 -7.286 3.617 3.705 7.286 -3.617" Properties=species:S:1:pos:R:3 comment="Ba2ZnBi2 | the Materials Project database | PBE | optimized geometry" formation_enthalpy_0k_kcal_per_mol_atoms=-17.08 space_group=Ibam density_g_cm3=6.45 dft_energy_ev_per_atom=-3.32 pbc="T T T"
Ba 1.543 1.964 0.000
Ba 1.543 -1.964 3.617
Ba 2.162 9.250 0.000
Ba 2.162 5.322 3.617
Zn 3.705 0.000 1.808
Zn 0.000 7.286 1.808
Bi 5.260 1.651 0.000
Bi 1.555 5.635 0.000
Bi 2.150 1.651 3.617
Bi -1.555 5.635 3.617